by Richard T. Ritenbaugh
CGG Weekly, September 11, 2002
+++
DFT (PBE) results for a relaxed Ho4Mg3S8 crystal.

The total energy is -5.48 eV per atom. The value obtained for the density is 5.2 g/cm³.

a = 10.789 Å, b = 10.782 Å, c = 7.626 Å
α = 90.00°, β = 134.62°, γ = 90.00°
Space group C2/m (No. 12)
Inequivalent atoms, fractional coordinates:
Ho 0.000 0.000 0.000 [2 per cell]
Ho 0.000 0.500 0.500 [2 per cell]
Ho 0.250 0.250 0.000 [4 per cell]
Mg 0.000 0.000 0.500 [2 per cell]
Mg 0.250 0.250 0.500 [4 per cell]
S 0.000 0.244 0.500 [4 per cell]
S 0.000 0.253 0.000 [4 per cell]
S 0.245 0.000 0.500 [4 per cell]
S 0.248 0.000 0.991 [4 per cell]

=====

DFT (PBE) results for a geometry-optimized Tl2Hg2Sb structure.

Calculated values
* V: 30.5 Å³/atom
* crystal system: tetragonal
* magnetization: 0.0 μB per formula unit
* density of states at the Fermi level: 2.53 states/eV/f.u.
* offset from the most stable computed form: 219.9 meV per atom
* ΔE_f (raw): 221 meV/atom

Lattice parameters (Å, degrees): 4.648 4.648 7.796 72.66 72.66 90.00
Element x y z (fractional)
Tl: 0.750 0.250 0.500
Tl: 0.250 0.750 0.500
Hg: 0.402 0.402 0.196
Hg: 0.598 0.598 0.804
Sb: 0.000 0.000 0.000

=====

No. 1
VASP calculation (PBE-GGA) on an optimized crystal structure of HgBiAu2.

Lattice parameters (Å, degrees): 4.246 5.969 7.426 90.00 90.00 90.00
Sites, in units of the cell vectors:
Hg1 0.500 0.627 0.822
Au1 0.000 0.421 0.043
Hg2 0.500 0.373 0.322
Bi1 0.000 0.874 0.173
Au2 0.500 0.106 0.962
Au3 0.000 0.579 0.543
Au4 0.500 0.894 0.462
Bi2 0.000 0.126 0.673

Summary:
- Space-group type: Pmc2_1
- Volume: 23.5 Å³ per atom
- VASP energy: -0.196 Ry/atom
- Energy of formation: 17 meV per atom

No. 2
VASP calculation (PBE-GGA) on an optimized crystal structure of PmS2O6F2.

Lattice parameters (Å, degrees): 5.888 5.888 5.919 90.00 90.00 120.00
Site moments in Bohr magnetons follow the coordinates.
Sites, in units of the cell vectors:
O1 0.195 0.389 0.791  0.03
S1 0.667 0.333 0.284  0.15
F1 0.667 0.333 0.589  0.12
O2 0.805 0.195 0.209  0.03
O3 0.389 0.195 0.209  0.03
O4 0.611 0.805 0.791  0.03
O5 0.195 0.805 0.791  0.03
O6 0.805 0.611 0.209  0.03
F2 0.333 0.667 0.411  0.12
S2 0.333 0.667 0.716  0.15
Pm1 0.000 0.000 0.000  0.10

Summary:
- Space-group type: P-3m1
- E_form (uncorrected): -1.774 eV/atom
- Volume: 16.2 Å³ per atom
- VASP energy: -0.441 Ry/atom

No. 3
VASP calculation (PBE-GGA) on an optimized crystal structure of Ho4AuSe2S.

Lattice parameters (Å, degrees): 3.953 7.093 7.116 71.44 90.00 90.00
Sites, in units of the cell vectors:
Ho1 0.500 0.258 0.750
S1 0.500 0.500 0.000
Ho2 0.500 0.742 0.250
Ho3 0.000 0.739 0.760
Au1 0.000 0.500 0.500
Se1 0.000 0.000 0.000
Ho4 0.000 0.261 0.240
Se2 0.500 0.000 0.500

Summary:
- Space-group type: P2/m
- E_form (uncorrected): -1.553 eV/atom
- Volume: 23.6 Å³ per atom
- VASP energy: -0.414 Ry/atom

No. 4
VASP calculation (PBE-GGA) on an optimized crystal structure of MgCo3Cu.

Lattice parameters (Å, degrees): 4.348 4.348 4.348 90.00 90.00 90.00
+++
(Back to the article)
"The greatest sin is to be conscious of none."
An entire year has flashed by since four airplane crashes changed the way Americans behold the world. As the nation remembers the victims of terrorism and contemplates its continuing response, it is fitting to ask, "Has the tragedy of September 11, 2001, changed us for the better?"
Looking back on that day, we were first shocked, then dismayed, grieved, angry, vengeful, and patriotic. Our initial reactions were to help, aid, give, and pray. The nation rallied behind President Bush and his plans for retaliation against al-Qaida and the Taliban, sporting flags and "God Bless America" bumper stickers. Many gave blood to the Red Cross, sent care packages of various sorts to New York City, wrote letters and made videos for our soldiers in Afghanistan, and closed ranks as Americans with little regard for belief or ideology.
Yet, one year later, we are "back to normal," and all we have to show for it is tightened and bothersome security at our airports and dwindling freedoms.
God says in Amos 3:2, "You only have I known of all the families of the earth; therefore I will punish you for all your iniquities." This is very significant. America calls itself a Christian nation. We have churches on every corner, Bibles in every house, Christian scripture and principles in our founding documents and on our governmental buildings, and the Ten Commandments on public monuments. We produce more Bibles and send more missionaries than any other nation on earth. We piously intone Christian principles in our politics and foreign policy. We even say public prayers before auto races! If we are so close to Him, God says, He must hold us more accountable than others.
Then, He asks a series of questions that are designed to get us to think in a cause-and-effect mode, that is, we are to think about why certain things occur. "Can two walk together, unless they are agreed?" (verse 3). The answer is obviously not. God wants us to place Him and ourselves as the "two," and we must remember that He just said that He must punish for sin. The conclusion must be that God is not walking with us because of our sins (see Isaiah 59:2-15)! There can be no agreement between a righteous God and a sinful nation.
Amos 3:4-5 contain four more cause-and-effect questions, but verse 6 applies specifically to our situation in America: "If a trumpet is blown in a city, will not the people be afraid? If there is calamity in a city, will not the LORD have done it?" God is forcing us to agree with His logic. Do not people fear when they are made aware of danger nearby? Yes, of course. In the same way, if a disaster strikes, is it not true that God had a hand in it? Yes, of course! Especially if it occurs amidst a people who claim to be so close to God.
Later, in Amos 4:6-12, God tells us that we have missed the meaning of all the disasters we have endured in recent years. Using famine, drought, crop failure, epidemics, and "natural" disasters as examples of divine wake-up calls, He says, "Yet you have not returned to Me" (verses 6, 8-11). For a people who know God, calamity is not haphazard! God allows it to happen to inspire repentance and revival of true worship.
Has the nation taken the September 11 attacks as warnings to return to God, truth, and right living? Sadly, only a few have heeded them. A Barna Research Group (BRG) poll released on September 3, 2002, shows that "an overwhelming majority [90%] admit that 9/11 has had no lasting impact on their religious beliefs." BRG president George Barna reaches the proper conclusion: "The fact that we saw no lasting impact from the most significant act of war against our country on our own soil says something about the spiritual complacency of the American public."
Indeed it does. There is only one solution to this, "Seek good and not evil, that you may live; so the LORD God of hosts will be with you" (Amos 5:6). Even if the rest of the nation will not heed, we can as individuals use this first anniversary of a divine warning to put ourselves back in pace with God.